Digital Health Technologies: Key Considerations for Reimbursement and Access
In the first plenary session, we heard about the Digitale Gesundheitsanwendungen (DiGA) pathway in Germany, a fast-track process for gaining reimbursement for digital health applications that are considered to be low-risk technologies (Figure 1).1 This process involves provision of initial evidence of benefit leading to short-term reimbursement by sickness funds (which cover approximately 70 million people), followed by a year–long data collection period over which benefit must be proven. This pathway seems particularly appealing for small, start-up companies, as the barriers to reimbursement seem apparently lower and less costly than if a large scale RCT was required up-front. However, whilst conceptually appealing, the speakers highlighted that, in practice, the process has not always worked well. Decision makers are becoming increasingly stringent in terms of the initial evidence that they are willing to accept, meaning that small scale RCTs may be required, followed by a larger RCT at one-year; this is despite the fact that only technologies judged as low-risk are being considered for this pathway. These evidence requirements may be prohibitive for companies from a cost perspective. Some participants have even dropped out of the process given a lack of agreement on what evidence would be considered sufficient for reimbursement. A key topic of discussion was the generalisability of DiGA-type schemes in other countries, with one speaker highlighting the challenges of applying such a process in the US market given the multitude of different payers in the healthcare system.
~~~
# 1
# C6H7I

C6H7I in the gas phase in a non-equilibrium geometry (wB97M-V/def2-TZVPD, the Open Molecules 2025 dataset).

Computed properties:
SMILES   CC1=C(I)C12CC2
LUMO level   0.0212 Ha
Relative energy (zero: lowest compared OMol25 entry of this formula, charge and spin)   71.8 kcal/mol
Frontier orbital gap   8.78 eV

ORCA input file:
```
! RIJCOSX wB97M-V def2-TZVPD def2/J DEFGRID3
* xyz 0 1
C -0.2428 -2.2055 -0.1151
C 0.3897 -0.8779 -0.1768
C 1.4578 -0.1132 -0.2777
I 3.5030 0.0070 -0.1888
C 0.2009 0.6070 -0.1044
C -0.4776 1.5368 0.9060
C -0.7017 1.6159 -0.6286
H 0.3244 -2.9269 -0.6298
H -1.0940 -2.1273 -0.5839
H -0.3185 -2.6198 0.9380
H -1.2098 1.0053 1.4914
H 0.1519 2.3060 1.6084
H -1.5830 1.3147 -1.0668
H -0.4003 2.4778 -1.1718
*
```

# 2
# C6H7I2IrO4S

A molecular structure, C6H7I2IrO4S (wB97M-V/def2-TZVPD, the Open Molecules 2025 dataset).

Computed properties:
LUMO level   -0.0409 Ha
Relative energy (zero: lowest compared OMol25 entry of this formula, charge and spin)   0.0 kcal/mol
Frontier orbital gap   7.55 eV

ORCA input file:
```
! RIJCOSX wB97M-V def2-TZVPD def2/J DEFGRID3
* xyz 0 1
Ir -0.6454 -0.2072 -0.1591
C -2.1401 0.9392 -1.2177
C -1.7679 1.5961 -0.0085
C -0.3615 1.8657 -0.0579
C 0.1218 1.4603 -1.3608
C -0.9576 0.8835 -2.0475
H -3.1212 0.5810 -1.4787
H -2.3898 1.7228 0.8639
H 0.2271 2.2778 0.7461
H 1.1233 1.5604 -1.7450
H -0.8987 0.4446 -3.0311
I 0.0317 -2.6165 -1.5337
C 1.9569 -2.4615 -0.5563
I 1.5991 -1.0043 1.0205
H 2.7175 -2.2452 -1.2982
H 2.1137 -3.4223 -0.0787
O -1.6493 -0.7805 1.5017
S -0.8787 -0.7647 2.8830
O -1.7768 -0.2259 3.8650
O 0.2830 0.1813 2.6373
O -0.3904 -2.1081 3.1115
*
```

# 3
# C6H7KLiO6

A molecular structure, C6H7KLiO6 in a non-equilibrium geometry (wB97M-V/def2-TZVPD, the Open Molecules 2025 dataset).

Computed properties:
LUMO level   -0.1209 Ha
Relative energy (zero: lowest compared OMol25 entry of this formula, charge and spin)   54.9 kcal/mol
Frontier orbital gap   7.70 eV

ORCA input file:
```
! RIJCOSX wB97M-V def2-TZVPD def2/J DEFGRID3
* xyz 1 1
Li -3.1580 0.8825 -1.6993
O -2.3740 1.4513 -0.0448
O -1.2609 -0.4500 0.9009
C -1.7090 -1.6868 0.3564
C -1.3141 -1.5628 -1.1097
O -1.4358 -0.1579 -1.3522
C -1.4310 0.5188 -0.0851
H -1.1975 -2.5006 0.8788
H -2.7969 -1.7844 0.4845
H -1.9995 -2.0851 -1.7871
H -0.2698 -1.8623 -1.2776
K 6.4051 -0.9115 1.2416
O 3.8734 0.2834 -0.5665
O 1.7921 1.0164 -0.2017
C 0.7911 1.2091 0.6254
C -0.4396 1.6703 -0.0210
O 3.1693 0.4643 1.5355
C 3.0432 0.5276 0.3098
H 0.8716 0.7065 1.5958
H -0.2664 2.1415 -0.9938
H -0.2934 2.1296 1.2099
*
```

* * * * *

Here is C22H23BBr2Cl2FNO5S2Sr as an isolated structure from OMol25. Energies are from ωB97M-V/def2-TZVPD.

Positions of all 60 atoms, in Å:
H: 2.731 -3.528 -0.295
H: -0.556 -5.883 0.021
O: 3.518 5.324 0.407
C: 6.139 -0.912 0.012
H: -1.084 6.269 1.353
H: -1.340 4.417 1.587
C: -2.512 -2.738 -1.205
H: -3.859 -1.185 0.332
S: 3.761 3.901 1.018
H: 1.125 -2.765 2.935
C: -1.788 5.369 1.029
C: 4.724 -0.228 -0.496
~~~
Figure 1

In another session, a speaker from NICE presented the latest iteration of the NICE evidence standards framework for digital health technologies.2 This framework, like DiGA, aims to streamline the process for reimbursement of and access to medical technologies by providing information on the minimum requirements for technologies at different risk levels. It will be interesting to see how effectively this framework is utilized, and whether this will influence similar processes in other geographies and make the reimbursement pathway more accessible to MedTech companies that may not have extensive, or even any, HTA experience.
(Molecular data that have nothing to do with the text)
********
Record 1
Entry from the OMol25 dataset: 2 unconnected molecules or ions with the total composition C2H8S3 in a non-equilibrium geometry (ωB97M-V/def2-TZVPD).

Values from the calculation:
calculated total energy: -1275.50329 a.u.
HOMO level: -0.3148 Eh
relative energy (zero: lowest compared OMol25 entry of this formula, charge and spin): 27.33 kcal per mole
max |F|: 2.04 eV/A
gap between HOMO and LUMO: 8.27 eV
SMILES string: CSC.SS

Element x y z (Å)
C 0.285 1.703 1.406
S -1.353 1.958 0.688
C -1.253 0.817 -0.770
H 1.049 2.279 0.886
H 0.219 1.961 2.461
H 0.582 0.651 1.369
H -1.825 1.311 -1.547
H -1.832 -0.001 -0.351
H -0.207 0.663 -1.011
S 1.966 -3.867 -0.895
S 0.215 -2.924 -0.093
H 2.166 -2.955 -1.868
H -0.012 -1.596 -0.274

Cartesian forces (eV/Å) of the 2 atoms listed first:
C 0.012 -0.427 -0.026
S 0.362 0.178 -0.258

=====

Record 2
Entry from the OMol25 dataset: a molecular structure, C3H3NS in a non-equilibrium geometry (ωB97M-V/def2-TZVPD).

Values from the calculation:
calculated total energy: -568.72167 a.u.
HOMO level (alpha / beta): -0.2047 / -0.3490 Eh
relative energy (zero: lowest compared OMol25 entry of this formula, charge and spin): 137.89 kcal per mole
max |F|: 6.68 eV/A
multiplicity: 3
gap between HOMO and LUMO (alpha / beta): 4.25 / 5.65 eV
<S²>: 2.02

Element x y z (Å)
C -2.193 1.595 0.288
C -1.282 0.784 0.220
C -0.472 -0.243 0.198
N -0.204 -1.374 0.230
S 2.471 -0.671 0.138
H -3.016 2.268 0.207
H 3.290 -0.788 -1.473
H 1.407 -1.571 0.192

Cartesian forces (eV/Å) of the 2 atoms listed first:
C -0.204 0.640 -0.380
C -1.493 0.720 0.084

=====

Record 3
Entry from the OMol25 dataset: a molecular structure, C16H22CaCl2O23 in a non-equilibrium geometry (ωB97M-V/def2-TZVPD).

Values from the calculation:
calculated total energy: -3951.08815 a.u.
HOMO level: -0.3208 Eh
max |F|: 2.05 eV/A
gap between HOMO and LUMO: 8.76 eV

Element x y z (Å)
Ca -10.985 17.514 2.532
Cl -8.226 15.502 3.641
O -6.810 15.604 3.471
O -8.883 16.004 2.436
O -8.626 14.136 3.863
O -8.672 16.329 4.749
Cl -12.741 18.796 4.884
O -13.869 18.108 4.291
O -13.111 19.502 6.061
O -11.757 17.751 5.185
O -12.103 19.654 3.894
C -10.250 18.040 -3.069
C -9.127 17.030 -2.951
O -9.042 16.888 -1.525
C -10.256 17.162 -1.003
O -10.523 16.990 0.140
O -11.091 17.615 -1.966
H -10.890 17.914 -3.938
H -9.906 19.067 -2.943
H -8.184 17.359 -3.374
H -9.418 16.073 -3.385
C -5.980 19.288 4.070
C -6.881 19.525 5.301
O -8.164 19.740 4.739
C -8.157 19.233 3.495
O -9.143 18.856 2.934
O -6.925 18.967 3.060
H -5.268 18.502 4.291
H -5.486 20.218 3.792
H -6.534 20.373 5.889
H -6.901 18.648 5.949
C -15.802 15.335 0.062
C -16.241 15.560 1.512
O -15.076 16.085 2.144
C -14.159 16.394 1.237
O -13.153 16.999 1.430
O -14.528 15.982 0.001
H -16.438 15.832 -0.664
H -15.715 14.268 -0.138
H -16.599 14.693 2.063
H -17.052 16.285 1.630
C -11.968 11.970 2.044
C -12.437 11.992 3.503
O -12.750 13.365 3.663
C -11.964 14.070 2.825
O -11.602 15.192 3.003
O -11.478 13.283 1.842
H -12.859 11.830 1.424
********
Important considerations with regards to data privacy were highlighted in the context of leveraging digital data to ensure patient-focused decision-making.3 One session highlighted potential issues with regards to consent bias (the notion that those patients who are willing to share their data may be systematically different to those who are unwilling), which may have significant implications when drawing conclusions from digitally derived data sets. This issue is not likely to be easily solved; on the one hand, if you bombard patients with information as to what their data will and will not be used for, with the aim of improving transparency and thus likelihood of consent, this may actually have the opposite effect if patients become paralysed by this information. On the other hand, a lack of information may either lead to patients consenting by default without fully understanding the implications or refusing to consent given privacy concerns. A patient representative highlighted that patients may be more likely to consent to the use of their data if they know that it would be used to benefit them in the long-term, emphasising that closing the loop and feeding back to patients about the usefulness of their data is a vital step. Whilst consent and consent bias may not be fully ‘solvable’, alternatives were proposed such as federated analysis, where data are analysed in separate datasets and then combined based on aggregated parameters (meaning that individual patient data do not need to be gathered in a single location), as well as the creation of non-identifiable patient data.